Thursday, May 30, 2024

Personhood Alliance: Should Pro-lifers vote for Trump in 2024?

~~~
TiMn2O6 (GGA+U, relaxed); crystal system = monoclinic; M_tot = 0.667 μB per atom; symmetry = C2/m, No. 12; energy of formation from the pure elements = -2.2861 eV per atom; final energy = -69.02 eV/cell
1.0
-5.1333 -3.5163 1.9964
-4.9625 -4.1583 -0.8849
2.4800 -5.1128 1.2863
O Ti Mn
6 1 2
Direct
0.5119 0.5119 0.2724
0.8411 0.8411 0.6145
0.4881 0.4881 0.7276
0.8223 0.8223 0.0575
0.1777 0.1777 0.9425
0.1589 0.1589 0.3855
0.0000 0.0000 0.5000
0.3326 0.3326 0.8350
0.6674 0.6674 0.1650

---

Li9Mn2Co5O16 (GGA+U, relaxed); crystal system = triclinic; M_tot = 0.250 μB per atom; symmetry = P-1, No. 2; energy of formation from the pure elements = -1.8403 eV per atom; final energy = -186.58 eV/cell
1.0
-0.8860 -4.5080 2.2507
4.2457 -5.3835 -3.5553
6.0513 0.2159 4.8125
Li O Co Mn
9 16 5 2
Direct
0.4887 0.1955 0.9385
0.4923 0.3203 0.5526
0.5006 0.4444 0.1840
0.4994 0.5556 0.8160
0.5077 0.6797 0.4474
0.5113 0.8045 0.0615
0.0000 0.5000 0.0000
0.5127 0.9308 0.6886
0.4873 0.0692 0.3114
0.2453 0.7800 0.6734
0.2150 0.1569 0.5245
0.2043 0.9233 0.2810
0.2137 0.2763 0.1614
0.7850 0.8431 0.4755
0.2363 0.6752 0.0253
0.7632 0.6036 0.2293
0.7957 0.0767 0.7190
0.7863 0.7237 0.8386
0.7782 0.9665 0.0824
0.2330 0.5389 0.4076
0.7547 0.2200 0.3266
0.2218 0.0335 0.9176
0.2368 0.3964 0.7707
0.7637 0.3248 0.9747
0.7670 0.4611 0.5924
0.0047 0.6229 0.6290
0.9953 0.3771 0.3710
0.9984 0.7407 0.2468
0.0000 0.0000 0.5000
0.0016 0.2593 0.7532
0.9865 0.1320 0.1236
0.0135 0.8680 0.8764

---

LiFe6O7F5 (GGA+U, relaxed); crystal system = triclinic; M_tot = 0.000 μB per atom; symmetry = P1, No. 1; energy of formation from the pure elements = -2.0470 eV per atom; final energy = -115.18 eV/cell
1.0
-2.9023 -5.0418 0.6308
5.6382 -2.1569 0.1572
-0.4732 2.2075 5.6655
O F Li Fe
7 5 1 6
Direct
0.1884 0.5754 0.4161
0.9284 0.6578 0.0690
0.8207 0.4187 0.5943
0.4133 0.6072 0.8333
0.4043 0.1775 0.5901
0.5926 0.8299 0.4106
0.5716 0.4031 0.1764
0.6829 0.0563 0.8880
0.1157 0.2975 0.9295
0.0550 0.8849 0.6719
0.3191 0.9595 0.1150
0.9417 0.1175 0.3160
0.9927 0.9827 0.9955
0.1472 0.3455 0.6099
0.2982 0.6119 0.1351
0.8505 0.6513 0.3722
0.6023 0.1546 0.3496
0.4006 0.8561 0.6546
0.6748 0.4127 0.8729

---

MgFe10O16F4 (GGA+U, relaxed); crystal system = triclinic; M_tot = 1.484 μB per atom; symmetry = P1, No. 1; energy of formation from the pure elements = -1.6817 eV per atom; final energy = -189.86 eV/cell
1.0
-4.8289 -0.0897 0.0505
0.3014 9.0363 -9.1917
-0.0615 -4.6390 -3.1841
O F Fe Mg
16 4 10 1
Direct
0.2856 0.5469 0.4272
0.1834 0.3264 0.5624
0.3373 0.7371 0.7925
0.8559 0.8531 0.8933
0.2342 0.9294 0.6460
0.7724 0.4641 0.1600
0.6606 0.4678 0.6553
0.7334 0.8550 0.3799
0.7253 0.2594 0.8273
0.8206 0.6693 0.5354
0.2393 0.3501 0.0486
0.3359 0.1296 0.5334
0.3693 0.9310 0.1446
0.2413 0.1417 0.0195
0.8397 0.0629 0.2527
0.6838 0.6582 0.0290
0.7582 0.0410 0.7602
0.1651 0.5416 0.9145
0.2095 0.7377 0.2809
0.7092 0.2660 0.3064
0.5402 0.9896 0.4566
0.9130 0.4002 0.8437
0.0173 0.8017 0.5925
0.0808 0.9848 0.9749
~~~
Here the piece continues.

Choosing the right presidential canidate in 2024 will be no easy task for those of us who believe that abortion is the greatest evil of our day.

For more than half a century, Republicans have championed the pro-life cause in their party platform if not always in their actions. The GOP's current platform, adopted in 2016, calls for a human life amendment to the Constitution and legislation to ensure the 14th Amendment's protections apply to children before birth. Despite these promises, most Republican politicians have only upheld a pro-life stance superficially.  Donald Trump followed through on these promises better than most of his Republican predecessors, distinguishing himself during his first term by appointing pro-life people throughout his administration and becoming the first sitting US president to attend the National March for Life.

Then, Roe v. Wade was overturned in the summer of 2022 galvanizing abortion proponents. As a result, Democrats mobilized with significant financial backing to promote abortion, while pro-lifers struggled to shift from limiting abortion on the fringes into advocating for the right to life.  If nothing else, the 2022 midterm elections demonstrated the power of money in politics, with Democrats outspending Republicans almost fifty-fold on abortion-related ads, leading to significant pro-abortion victories even in traditionally conservative states.

1.
The following is a PBE with a Hubbard U calculation of a geometry-optimized Co2O3F structure, from the Materials Project.

a b c (Å): 6.078 6.565 6.787
angles (deg): 89.84 63.43 89.93
Space group P-1 (No. 2)
Inequivalent atoms, fractional coordinates:
Co  0.123  0.249  0.249
Co  0.125  0.214  0.749
Co  0.373  0.751  0.751
Co  0.375  0.714  0.250
O  0.019  0.746  0.456
O  0.125  0.930  0.751
O  0.228  0.752  0.045
O  0.273  0.247  0.955
O  0.376  0.432  0.246
O  0.475  0.255  0.544
F  0.124  0.534  0.753
F  0.371  0.032  0.258

Results
Its volume is 242.2 Å³/cell. Its energy of formation from the pure elements is -1.29 eV per atom. The uncorrected energy comes out at -5.49 eV per atom.

***

2.
The following is a PBE with a Hubbard U calculation of a geometry-optimized Co6O5F7 structure, from the Materials Project.

a b c (Å): 4.550 5.468 7.624
angles (deg): 92.95 91.36 90.56
Space group P1 (No. 1)
Inequivalent atoms, fractional coordinates:
Co  0.000  0.000  0.000
Co  0.010  0.306  0.314
Co  0.020  0.648  0.645
Co  0.460  0.825  0.326
Co  0.481  0.169  0.645
Co  0.555  0.472  0.978
O  0.185  0.031  0.216
O  0.203  0.353  0.537
O  0.293  0.869  0.565
O  0.690  0.455  0.743
O  0.813  0.279  0.090
F  0.198  0.699  0.903
F  0.290  0.191  0.892
F  0.300  0.509  0.211
F  0.703  0.792  0.086
F  0.721  0.115  0.419
F  0.792  0.966  0.768
F  0.807  0.607  0.405

Results
Its volume is 189.4 Å³/cell. Its energy of formation from the pure elements is -1.67 eV per atom. The uncorrected energy comes out at -5.24 eV per atom.

***

3.
The following is a PBE with a Hubbard U calculation of a geometry-optimized Co2O3F structure, from the Materials Project.

a b c (Å): 6.006 6.564 6.774
angles (deg): 89.96 63.74 89.96
Space group P-1 (No. 2)
Inequivalent atoms, fractional coordinates:
Co  0.124  0.215  0.250
Co  0.125  0.250  0.749
Co  0.374  0.716  0.750
Co  0.375  0.750  0.249
O  0.022  0.750  0.956
O  0.123  0.929  0.252
O  0.223  0.750  0.556
O  0.273  0.250  0.455
O  0.375  0.429  0.749
O  0.473  0.250  0.057
F  0.123  0.534  0.249
F  0.372  0.034  0.752

Results
Its volume is 239.5 Å³/cell. Its energy of formation from the pure elements is -1.29 eV per atom. The uncorrected energy comes out at -5.48 eV per atom.

***

4.
The following is a PBE with a Hubbard U calculation of a geometry-optimized CoOF structure, from the Materials Project.

a b c (Å): 4.595 2.958 13.594
angles (deg): 90.00 92.27 90.00
Space group P2/m (No. 10)
Inequivalent atoms, fractional coordinates:
Co  0.000  0.000  0.000
Co  0.053  0.000  0.330
Co  0.403  0.500  0.833
Co  0.500  0.500  0.500
O  0.155  0.500  0.933
O  0.234  0.000  0.769
O  0.328  0.000  0.433
F  0.156  0.500  0.602
F  0.278  0.500  0.265
F  0.376  0.000  0.104

Results
Its volume is 184.6 Å³/cell. Its energy of formation from the pure elements is -1.60 eV per atom. The uncorrected energy comes out at -5.33 eV per atom.

***

5.

As we approach the 2024 presidential election, the pro-life movement faces new challenges. Trump, who once held a strong pro-life stance, has now shifted his position, criticizing pro-life laws and state court rulings while attempting to wash his hands of the "issue" by suggesting abortion should be left to the states. This incoherent argument has caused concern among pro-lifers who see it as a betrayal of the cause.

The upcoming election features three political dynasties but no pro-life champion. It's crucial for pro-life voters to scrutinize the candidates' positions and consider the long-term implications for the pro-life movement of giving any of them a pass.

Even though RFK Jr. was very strong on freedom from government coercion during the COVID pandemic, he has a long history of pro-abortion advocacy, has selected a vocal pro-abort as running mate and recently reafirmed his belief in abortion up to birth.

No comment is necessary regarding President Biden, other than to say that his claims to being a Catholic in good standing are scandalous, given his agressive pro-abortion advocacy.

Between two parts of the piece: data records:
Mn6O7F5, relaxed, DFT PBE with a Hubbard U; piezoelectric modulus e_max = 0.4 C/m²; energy of formation from the pure elements = -2235 meV per atom; raw total energy = -6.793 eV/atom; total magnetization = 1.278 μB per atom
1.0
-0.982 -3.908 -3.796
4.066 0.191 -3.817
4.454 -5.692 1.401
Mn O F
6 7 5
Cartesian
4.043 -5.096 -1.630 Mn
5.265 -6.545 -6.810 Mn
3.673 -9.492 -2.476 Mn
5.879 -7.318 -4.078 Mn
1.764 -2.159 -2.291 Mn
3.205 -4.313 -4.474 Mn
2.955 -3.773 -2.676 O
5.064 -6.292 -0.470 O
0.744 -2.620 -3.905 O
5.587 -3.802 -1.611 O
1.815 -5.611 -4.462 O
2.489 -6.347 -1.622 O
2.600 -3.009 -5.934 O
3.942 -5.066 -6.204 F
4.645 -5.785 -3.480 F
4.903 -3.182 -4.435 F
3.396 -4.352 0.137 F
7.128 -6.674 -2.586 F

Mn12O5F19, relaxed, DFT PBE with a Hubbard U; energy of formation from the pure elements = -2655 meV per atom; raw total energy = -6.511 eV/atom; total magnetization = 1.528 μB per atom
1.0
4.845 0.000 0.000
0.242 5.797 0.000
0.028 0.082 16.074
F Mn O
19 12 5
Cartesian
3.724 0.664 8.385 F
1.102 0.663 4.890 F
1.397 5.191 7.531 F
3.700 3.614 8.542 F
3.894 5.177 0.275 F
3.832 5.156 11.109 F
1.471 3.606 5.021 F
1.449 3.512 10.332 F
1.523 3.669 15.700 F
3.794 0.674 3.015 F
3.860 0.803 13.680 F
1.396 2.320 7.638 F
1.480 2.365 13.071 F
3.957 5.180 5.697 F
3.715 3.643 13.872 F
3.594 3.637 3.091 F
1.335 2.283 2.351 F
1.089 0.805 15.614 F
3.700 2.278 11.271 F
0.047 0.923 1.314 Mn
2.544 3.940 12.113 Mn
2.576 3.810 1.343 Mn
2.673 2.029 14.886 Mn
2.585 1.955 4.130 Mn
0.243 4.942 9.399 Mn
2.411 1.847 9.480 Mn
0.291 4.958 14.624 Mn
0.207 0.911 12.015 Mn
2.704 3.787 6.690 Mn
0.324 4.840 3.840 Mn
4.858 1.017 6.623 Mn
1.033 0.629 10.342 O
1.324 5.238 12.906 O
3.611 2.258 0.604 O
3.632 2.342 5.894 O
1.312 5.161 2.048 O

no.,calculated volume (Å³/cell),energy with MP2020 corrections (eV/atom)
1,200.9,-7.745
2,451.5,-7.406

* * * * *

Er2MgTl2W4O16: optimized geometry, PBE+U.

Properties
VASP energy ... -7.16 eV/atom
Symmetry ... P1
Calculated density ... 8.5 g cm⁻³
Corrected total energy (MP2020 scheme) ... -207.69 eV/cell
Formation enthalpy at 0 K ... -2.4492 eV/atom
Energy above the lowest structure with this stoichiometry ... 0.027 eV per atom

```
data_Er2MgTl2W4O16
_space_group_name_H-M_alt 'P 1'
_space_group_IT_number 1
_space_group_name_Hall 'P 1'
_cell_length_a 7.517
_cell_length_b 7.518
_cell_length_c 7.913
_cell_angle_alpha 62.58
_cell_angle_beta 88.85
_cell_angle_gamma 63.54
loop_
_atom_site_label
_atom_site_type_symbol
_atom_site_fract_x
_atom_site_fract_y
_atom_site_fract_z
Er1 Er 0.000 0.000 0.000
Er2 Er 0.490 0.479 0.587
Mg1 Mg 0.915 0.488 0.140
Tl1 Tl 0.139 0.473 0.877
Tl2 Tl 0.449 0.995 0.590
W1 W 0.528 0.437 0.115
W2 W 0.552 0.938 0.093
W3 W 0.923 0.542 0.496
W4 W 0.950 0.035 0.480
O1 O 0.000 0.950 0.740
O2 O 0.017 0.289 0.422
O3 O 0.201 0.853 0.459
O4 O 0.212 0.436 0.587
O5 O 0.264 0.048 0.019
O6 O 0.283 0.625 0.138
O7 O 0.467 0.530 0.849
O8 O 0.490 0.179 0.177
O9 O 0.604 0.708 0.376
O10 O 0.619 0.672 0.040
O11 O 0.621 0.111 0.869

Lastly, even though he was pro-life during his first term as president, Donald Trump seems to have returned to his pre-2016 pro-choice with exceptions position. A closer look at this transition is the subject of the Personhood Alliance's latest blog post.

Supporting a candidate who does not fully commit to protecting the right to life will undermine decades of advocacy and progress.  Unfortunately, all three major candidates have turned their back on pro-lifers and the innocent perborn in 2024.  Outside of the two major candidates and RFK Jr., others like Randall Terry of the Constitution Party are unapologetically pro-life but stand a small chance to win the election.

In the end, no one can tell you who to vote for, but you should always vote with a well formed conscience.

That is why we wrote this article highlighting Donald Trump's shifting position on abortion during this 2024 presidential election season.